• Activity:
The reader should return all of the data below unchanged.
• Listing:
____________
[1]
DFT (meta-GGA r2SCAN) results for a relaxed Nb10C7 crystal.

Calculated values
SG: C2/m, No. 12
formation energy from the elements: -0.54 eV per atom

```
Nb10C7
1.0
2.7500 -7.8604 0.0000
2.7500 7.8604 0.0000
-1.8491 0.0000 5.1953
Nb C
10 7
Cartesian
0.9835 3.0778 1.2007
0.0009 1.6099 3.8452
0.8058 0.0000 1.3733
0.0009 -1.6099 3.8452
0.9835 -3.0778 1.2007
2.6674 3.0778 3.9946
3.6500 1.6099 1.3500
2.8451 0.0000 3.8220
3.6500 -1.6099 1.3500
2.6674 -3.0778 3.9946
-0.9246 0.0000 2.5976
2.7500 6.2697 0.0000
2.7500 3.1339 0.0000
1.8254 1.5869 2.5976
1.8254 -1.5869 2.5976
2.7500 -3.1339 0.0000
2.7500 -6.2697 0.0000
```

[2]
DFT (meta-GGA r2SCAN) results for a relaxed Nb4C3 crystal.

Calculated values
SG: R-3m, No. 166
formation energy from the elements: -0.54 eV per atom

```
Nb4C3
1.0
1.5809 0.9127 10.2710
-1.5809 0.9127 10.2710
0.0000 -1.8255 10.2710
Nb C
4 3
Cartesian
0.0000 0.0000 3.7845
0.0000 0.0000 11.5680
0.0000 0.0000 19.2452
0.0000 0.0000 27.0286
0.0000 0.0000 7.7865
0.0000 0.0000 15.4066
0.0000 0.0000 23.0266
```

[3]
DFT (meta-GGA r2SCAN) results for a relaxed Nb2SnC crystal.

Calculated values
SG: P6_3/mmc, No. 194
formation energy from the elements: -0.44 eV per atom

```
Nb2SnC
1.0
3.2832 0.0000 0.0000
-1.6416 2.8433 0.0000
0.0000 0.0000 13.7686
Nb Sn C
4 2 2
Cartesian
0.0000 1.8956 1.1471
0.0000 1.8956 5.7372
1.6416 0.9478 8.0315
1.6416 0.9478 12.6215
0.0000 1.8956 10.3265
1.6416 0.9478 3.4422
0.0000 0.0000 0.0000
0.0000 0.0000 6.8843
```
____________
• Solution:
[1]
DFT (meta-GGA r2SCAN) results for a relaxed Nb10C7 crystal.

Calculated values
SG: C2/m, No. 12
formation energy from the elements: -0.54 eV per atom

```
Nb10C7
1.0
2.7500 -7.8604 0.0000
2.7500 7.8604 0.0000
-1.8491 0.0000 5.1953
Nb C
10 7
Cartesian
0.9835 3.0778 1.2007
0.0009 1.6099 3.8452
0.8058 0.0000 1.3733
0.0009 -1.6099 3.8452
0.9835 -3.0778 1.2007
2.6674 3.0778 3.9946
3.6500 1.6099 1.3500
2.8451 0.0000 3.8220
3.6500 -1.6099 1.3500
2.6674 -3.0778 3.9946
-0.9246 0.0000 2.5976
2.7500 6.2697 0.0000
2.7500 3.1339 0.0000
1.8254 1.5869 2.5976
1.8254 -1.5869 2.5976
2.7500 -3.1339 0.0000
2.7500 -6.2697 0.0000
```

[2]
DFT (meta-GGA r2SCAN) results for a relaxed Nb4C3 crystal.

Calculated values
SG: R-3m, No. 166
formation energy from the elements: -0.54 eV per atom

```
Nb4C3
1.0
1.5809 0.9127 10.2710
-1.5809 0.9127 10.2710
0.0000 -1.8255 10.2710
Nb C
4 3
Cartesian
0.0000 0.0000 3.7845
0.0000 0.0000 11.5680
0.0000 0.0000 19.2452
0.0000 0.0000 27.0286
0.0000 0.0000 7.7865
0.0000 0.0000 15.4066
0.0000 0.0000 23.0266
```

[3]
DFT (meta-GGA r2SCAN) results for a relaxed Nb2SnC crystal.

Calculated values
SG: P6_3/mmc, No. 194
formation energy from the elements: -0.44 eV per atom

```
Nb2SnC
1.0
3.2832 0.0000 0.0000
-1.6416 2.8433 0.0000
0.0000 0.0000 13.7686
Nb Sn C
4 2 2
Cartesian
0.0000 1.8956 1.1471
0.0000 1.8956 5.7372
1.6416 0.9478 8.0315
1.6416 0.9478 12.6215
0.0000 1.8956 10.3265
1.6416 0.9478 3.4422
0.0000 0.0000 0.0000
0.0000 0.0000 6.8843
```